Trump backs off Muslim Brotherhood’s designation as ‘terror’ organisation
Sources in the White House say the Trump administration has backed down on the plan to designate the Muslim Brotherhood as a terrorist organisation, the Washington Times has reported.
These calculated crystals were left in the text by mistake:
+++
The following is a PBE calculation of an optimized crystal structure of LiYGe, from Alexandria via LeMat-Bulk.

Values from the calculation:
Formation energy from the elements   -365 meV per atom
Crystal system   monoclinic
Size of the total moment   0.0 μB per formula unit
Uncorrected energy   -4.70 eV per atom

The structure in CIF format:
```
data_LiYGe
_chemical_formula_sum 'Li4 Y4 Ge4'
_cell_length_a 14.652
_cell_length_b 4.014
_cell_length_c 4.514
_cell_angle_alpha 90.00
_cell_angle_beta 102.24
_cell_angle_gamma 90.00
_symmetry_space_group_name_H-M 'C 1 m 1'
_symmetry_Int_Tables_number 8
loop_
_symmetry_equiv_pos_as_xyz
'x,y,z'
'x,-y,z'
'x+1/2,y+1/2,z'
'x+1/2,-y+1/2,z'
loop_
_atom_site_label
_atom_site_fract_x
_atom_site_fract_y
_atom_site_fract_z
Li1 0.000 0.000 0.000
Li2 0.109 0.500 0.170
Y1 0.254 0.500 0.804
Y2 0.433 0.000 0.465
Ge1 0.089 0.000 0.563
Ge2 0.234 0.000 0.304
```

=====

The following is a PBE calculation of an optimized crystal structure of LiYGe, from Alexandria via LeMat-Bulk.

Values from the calculation:
Formation energy from the elements   -391 meV per atom
Crystal system   monoclinic
Size of the total moment   0.0 μB per formula unit
Uncorrected energy   -4.72 eV per atom

The structure in CIF format:
```
data_LiYGe
_chemical_formula_sum 'Li4 Y4 Ge4'
_cell_length_a 9.779
_cell_length_b 5.919
_cell_length_c 6.737
_cell_angle_alpha 90.00
_cell_angle_beta 133.53
_cell_angle_gamma 90.00
_symmetry_space_group_name_H-M 'C 1 m 1'
_symmetry_Int_Tables_number 8
loop_
_symmetry_equiv_pos_as_xyz
'x,y,z'
'x,-y,z'
'x+1/2,y+1/2,z'
'x+1/2,-y+1/2,z'
loop_
_atom_site_label
_atom_site_fract_x
_atom_site_fract_y
_atom_site_fract_z
Li1 0.000 0.000 0.000
Li2 0.003 0.500 0.352
Y1 0.147 0.000 0.632
Y2 0.148 0.500 0.015
Ge1 0.344 0.246 0.518
```

=====

The following is a PBE calculation of an optimized crystal structure of LiYGe, from Alexandria via LeMat-Bulk.

Values from the calculation:
Formation energy from the elements   -616 meV per atom
Crystal system   orthorhombic
Size of the total moment   0.0 μB per formula unit
Uncorrected energy   -4.95 eV per atom

The structure in CIF format:
```
data_LiYGe
_chemical_formula_sum 'Li6 Y6 Ge6'
_cell_length_a 12.520
_cell_length_b 4.284
_cell_length_c 7.047
_cell_angle_alpha 90.00
_cell_angle_beta 90.00
_cell_angle_gamma 90.00
_symmetry_space_group_name_H-M 'P m m a'
_symmetry_Int_Tables_number 51
loop_
_symmetry_equiv_pos_as_xyz
'x,y,z'
'-x,-y,-z'
'-x+1/2,-y,z'
'x+1/2,y,-z'
'x+1/2,-y,-z'
'-x+1/2,y,z'
'-x,y,-z'
'x,-y,z'
loop_
_atom_site_label
_atom_site_fract_x
_atom_site_fract_y
_atom_site_fract_z
Li1 0.135 0.000 0.073
Li2 0.250 0.000 0.730
Y1 0.040 0.500 0.748
Y2 0.250 0.500 0.376
Ge1 0.098 0.000 0.453
Ge2 0.250 0.500 0.956
```
+++
The report suggests that senior diplomats from Jordon – a close US ally – are believed to have weighed in heavily against the idea because the movement currently holds 16 seats in the Jordanian parliament.
A small group of Republicans on Capitol Hill are behind the legislation which would direct the State Department to either designate the Brotherhood a terror group, alongside the Iranian Revolutionary Guard, or explain the decision to hold back.
The legislation was introduced by Senator Ted Cruz who claimed that listing the movement would “codify needed reforms in America’s war against radical Islamic terrorism”.
The Republican Senator blamed former President Barack Obama of ignoring what he called “the potent threat to our civilisation due to politically correct policies that hamper our safety and security”.Lobbying
Online publications claimed last week that the Muslim Brotherhood was spending millions of dollars to lobby Washington to avoid being designated a terror organisation. The reports, backed by the Middle East Media Research Institute (MEMRI), claim that the Brotherhood had signed contracts for $4.8 million with American lobbying firms “to help it establish ties with Trump administration officials”.
It was alleged that the lobbying contract included meetings with officials, publishing articles in the American media and providing platforms for the movements spokespeople.
The decision not to press ahead with the designation is believed to be an acknowledgement of the Brotherhood declared policy of non-violence. News reports say Washington recognises the fact that in recent decades factions of the movement have embraced democracy in various Middle East nations.
********
# 1
This record from Alexandria via LeMat-Bulk describes an optimized crystal structure of Rb2BeCrBr6. The functional is PBE.

Structure (POSCAR):
```
Rb2BeCrBr6
1.0
7.250 0.000 0.000
0.000 7.250 0.000
3.625 3.625 5.555
Cr Br Rb Be
1 6 2 1
Direct
0.000 0.000 0.000 Cr
0.227 0.227 0.545 Br
0.773 0.773 0.455 Br
0.269 0.269 0.000 Br
0.731 0.731 0.000 Br
0.731 0.269 0.000 Br
0.269 0.731 0.000 Br
0.750 0.250 0.500 Rb
0.250 0.750 0.500 Rb
0.500 0.500 0.000 Be
```

Values from the calculation:
E_form (uncorrected): -1.043 eV/atom
D(E_F): 0.116 states/eV/atom

=====

# 2
This record from Alexandria via LeMat-Bulk describes an optimized crystal structure of BeCrS2Br. The functional is PBE.

Structure (POSCAR):
```
BeCrS2Br
1.0
4.033 0.000 0.000
0.000 6.837 0.000
0.000 0.000 4.033
Cr S Br Be
1 2 1 1
Direct
0.000 0.500 0.000 Cr
0.000 0.000 0.500 S
0.500 0.000 0.000 S
0.500 0.500 0.500 Br
0.000 0.000 0.000 Be
```

Values from the calculation:
E_form (uncorrected): 0.202 eV/atom
D(E_F): 0.558 states/eV/atom

=====

# 3
This record from Alexandria via LeMat-Bulk describes an optimized crystal structure of Be2CrSbBr. The functional is PBE.

Structure (POSCAR):
```
Be2CrSbBr
1.0
-2.205 -3.587 -1.500
3.466 -2.902 1.845
-2.247 -0.232 3.857
Sb Be Br Cr
1 2 1 1
Direct
0.500 0.500 0.500 Sb
0.000 0.000 0.500 Be
0.500 0.000 0.000 Be
0.000 0.000 0.000 Br
0.000 0.500 0.000 Cr
```

Values from the calculation:
E_form (uncorrected): 1.115 eV/atom
D(E_F): 0.495 states/eV/atom

=====

# 4
This record from Alexandria via LeMat-Bulk describes an optimized crystal structure of BeCrSeBr2. The functional is PBE.

Structure (POSCAR):
```
BeCrSeBr2
1.0
5.105 0.000 0.000
0.000 5.105 0.000
0.000 0.000 4.835
Cr Se Br Be
1 1 2 1
Direct
0.000 0.000 0.000 Cr
0.000 0.000 0.500 Se
0.000 0.500 0.000 Br
0.500 0.000 0.000 Br
0.500 0.500 0.500 Be
```

Values from the calculation:
Polymorph energy (0 for the lowest one): 233 meV per atom
E_form (uncorrected): 0.376 eV/atom
D(E_F): 0.700 states/eV/atom

----------

Entry w
Density functional theory data (GGA-PBE) for PmAlI after structural relaxation.

Unit cell a=4.3500 b=4.3500 c=12.5493 alpha=88.89 beta=88.89 gamma=60.00
Positions (direct):
Al 0.6661 0.6661 0.5143
Al 0.3339 0.3339 0.4857
I 0.3210 0.3210 0.8293
I 0.6790 0.6790 0.1707
Pm 0.9938 0.9938 0.6689
Pm 0.0062 0.0062 0.3311

Computed properties:
mass density	4.83	g/cm3
SG	C2/m, No. 12

***

Entry x
Density functional theory data (GGA-PBE) for PmAlI after structural relaxation.

Unit cell a=6.1394 b=7.6603 c=8.8472 alpha=149.99 beta=100.37 gamma=78.01
Positions (direct):
I 0.2413 0.3242 0.2502
I 0.7587 0.6758 0.7498
Pm 0.9233 0.0487 0.7502
Pm 0.0767 0.9513 0.2498
Al 0.3938 0.2414 0.7500
Al 0.6062 0.7586 0.2500

Computed properties:
mass density	4.88	g/cm3
SG	P2_1/m, No. 11

***

Of them, entry x has the lowest stability.

----------

1.
Entry from Alexandria via LeMat-Bulk: a relaxed MnAlHg2 crystal (PBE).

abc: 9.5056 9.5056 9.5056
angles: 18.84 18.84 18.84
********
Read: Muslim Brotherhood members on trial
Meanwhile, the Muslim Brotherhood, from its offices in London, published a document entitled the “Coexistence Document” with others. The organisation said in a statement that it aims at peaceful co-existence in a pluralistic society and does not seek to impose its control or ideas.
While several Gulf Arab monarchies view the Brotherhood as an internal political threat, the movement’s factions are regarded as part of the democratic landscape in other places, including Turkey, where many see the ruling Justice and Development Party (AKP) as a distant Brotherhood affiliate and in Tunisia, where the Ennahda party is firmly part of the democratic process.
Egyptian news outlets claim that the report has led to divisions within the group. However, both Hamza Zobaa, the leader of the Brotherhood and Yusuf al Qaradawi the head of the International Federation of Muslim Scholars have backed the report which emanates from the youth front, stressing the necessity to carrying out intellectual review and reform within the group